Sunday, January 02, 2022

Friendly. Indian. Village. October 1967

There's nothing wrong with the Friendly Indian Village, but today's photos are less than ideal. In this first image, our photographer jumped the gun and pushed the button before there was very much to see. If I work really hard to say something nice about it, at least it's kind of an unusual angle.

Normally folks loved to capture a picture of the shiny boy on the overturned canoe, and this person did - barely. The view of the actual village isn't bad, though the long (morning?) shadows make it a little harder to appreciate the details.


  1. Major, the first shot actually IS kind of interesting because it (sort of) establishes where the Village is amongst its surroundings. (I too, am working hard to say something nice about it.)

    In the second shot, it took me a while to locate even one of the two papooses curing in the sun. It's on the very left edge, next to the pillar on the Mark Twain. At least I think that's one of 'em. The other one must be farther to the left.

-- begin --
BaLiFe2Pb, relaxed, DFT GGA-PBE; ρ = 6.49 Mg/m³; E_tot = -3.130 eV/atom; crystal system = tetragonal; volume = 23.69 A^3/atom; DFT formation energy = 1.76 eV per atom; density of states at the Fermi level = 12.7 states/eV/f.u.
1.0
4.857 0.000 0.000
0.000 4.857 0.000
0.000 0.000 5.021
Ba Li Fe Pb
1 1 2 1
Direct
0.000 0.000 0.000
0.000 0.000 0.500
0.000 0.500 0.000
0.500 0.000 0.000
0.500 0.500 0.500

~~~~~

Material: Li2VF6
Method: DFT, GGA+U
State: relaxed

Cell: 5.8555 5.8555 4.8907 Å, 73.41 73.41 56.32°
Last column: nearest neighbours and their distance in Å.
Sites, in units of the cell vectors:
V1 0.0000 0.0000 0.0000  6 F 1.87-1.90
F1 0.1736 0.6891 0.8178  1 Li 1.85, 1 V 1.87
Li1 0.6568 0.6568 0.2878  3 F 1.83-1.85
F2 0.8264 0.3109 0.1822  1 Li 1.85, 1 V 1.87
F3 0.6891 0.1736 0.8178  1 Li 1.85, 1 V 1.87
F4 0.1692 0.1692 0.6917  1 Li 1.83, 1 V 1.90
F5 0.8308 0.8308 0.3083  1 Li 1.83, 1 V 1.90
F6 0.3109 0.8264 0.1822  1 Li 1.85, 1 V 1.87
-- stop --

    Major, thank you for these awe inspiring and life changing photos... sorry, my snark engine got stuck in 4-wheel drive there for a second. ;-) They're actually not bad... not great, but not bad either. And like Scarlett O'Hara said, "Tomorrow is another day!" And like Annie said, "The sun'll come out... tomorrow!" And like Rex Allen said, "There's a great big beautiful tomorrow!" And like... OK, I'll stop now. I get kinda goofy past midnight.

  2. I just noticed something I’ve never noticed before—and maybe it’s because of the screwy angle we’re on...that really tall, skinny plant in the first picture—to the right and towards the back. Ugly, goofy tree of some sort??

### Unrelated to this piece: crystal structures
-- begin --
# 1
Material: LaZn6Au6
Method: DFT, GGA-PBE
State: relaxed

Structure (CIF):
```
data_LaZn6Au6
_chemical_formula_sum 'La2 Zn12 Au12'
_cell_length_a 5.274
_cell_length_b 9.146
_cell_length_c 9.586
_cell_angle_alpha 90.00
_cell_angle_beta 90.00
_cell_angle_gamma 90.00
_space_group_name_H-M_alt 'I m m m'
_space_group_IT_number 71
_space_group_name_Hall '-I 2 2'
loop_
_atom_site_label
_atom_site_fract_x
_atom_site_fract_y
_atom_site_fract_z
La1 0.000 0.000 0.000
Zn1 0.000 0.259 0.500
Zn2 0.250 0.250 0.250
Au1 0.000 0.000 0.344
Au2 0.000 0.339 0.000
Au3 0.000 0.500 0.317
```

Results
Energy of formation ... -0.363 eV per atom
Spin magnetization ... 0.00 μB/cell
Energy ... -73.91 eV for the cell shown


# 2
Material: LaZnAu2
Method: DFT, GGA-PBE
State: relaxed

Structure (CIF):
```
data_LaZnAu2
_chemical_formula_sum 'La1 Zn1 Au2'
_cell_length_a 3.680
_cell_length_b 3.680
_cell_length_c 6.592
_cell_angle_alpha 90.00
_cell_angle_beta 90.00
_cell_angle_gamma 90.00
_space_group_name_H-M_alt 'P 4 m m'
_space_group_IT_number 99
loop_
_space_group_symop_operation_xyz
'x,y,z'
'-y,x,z'
'-x,-y,z'
'y,-x,z'
'-x,y,z'
'y,x,z'
'x,-y,z'
'-y,-x,z'
loop_
_atom_site_label
_atom_site_fract_x
_atom_site_fract_y
_atom_site_fract_z
La1 0.000 0.000 0.000
Zn1 0.500 0.500 0.327
Au1 0.000 0.000 0.484
Au2 0.500 0.500 0.737
```

Results
Energy of formation ... -0.438 eV per atom
Spin magnetization ... 0.00 μB/cell
Energy ... -14.51 eV for the cell shown


# 3
Material: LaZn2Au2
Method: DFT, GGA-PBE
State: relaxed

Structure (CIF):
```
data_LaZn2Au2
_chemical_formula_sum 'La2 Zn4 Au4'
_cell_length_a 4.352
_cell_length_b 4.352
_cell_length_c 11.196
_cell_angle_alpha 90.00
_cell_angle_beta 90.00
_cell_angle_gamma 90.00
_space_group_name_H-M_alt 'P 4/n m m'
_space_group_IT_number 129
loop_
_space_group_symop_operation_xyz
'x,y,z'
'-x,-y,-z'
'-y+1/2,x,z'
'y+1/2,-x,-z'
'-x+1/2,-y+1/2,z'
'x+1/2,y+1/2,-z'
'y,-x+1/2,z'
'-y,x+1/2,-z'
'x+1/2,-y,-z'
'-x+1/2,y,z'
'-y,-x,-z'
'y,x,z'
'-x,y+1/2,-z'
'x,-y+1/2,z'
'y+1/2,x+1/2,-z'
'-y+1/2,-x+1/2,z'
loop_
_atom_site_label
_atom_site_fract_x
_atom_site_fract_y
_atom_site_fract_z
La1 0.250 0.250 0.247
Zn1 0.250 0.250 0.633
Zn2 0.250 0.750 0.000
Au1 0.250 0.250 0.863
Au2 0.250 0.750 0.500
```

Results
Energy of formation ... -0.550 eV per atom
Energy above the lowest structure with this stoichiometry ... 0.015 eV per atom
Spin magnetization ... 0.00 μB/cell
Energy ... -33.56 eV for the cell shown


# 4
Material: LaZn2Au2
Method: DFT, GGA-PBE
State: relaxed

Structure (CIF):
```
data_LaZn2Au2
_chemical_formula_sum 'La2 Zn4 Au4'
_cell_length_a 4.194
_cell_length_b 4.194
_cell_length_c 12.174
_cell_angle_alpha 90.00
_cell_angle_beta 90.00
_cell_angle_gamma 90.00
_space_group_name_H-M_alt 'I 4/m m m'
_space_group_IT_number 139
_space_group_name_Hall '-I 4 2'
loop_
_atom_site_label
_atom_site_fract_x
_atom_site_fract_y
_atom_site_fract_z
La1 0.000 0.000 0.000
Zn1 0.000 0.500 0.250
Au1 0.000 0.000 0.385
```

Results
Energy of formation ... -0.565 eV per atom
-- stop --

    JB, you really are sillier after midnight.

    Thanks, Major.

  3. Add the papeese to Fudgie and Dentie. This all may be a conspiracy. Why oh why would the papeese ever be moved ever? It's not like they are moving about pirate skeletons in Pirates of the Caribbean...right? And why would papeese ever been solely be needed for rehab if they were taken away? This is madness. Shiny boy looks more matte today. Must be using a different moisturizer I speculate. That tree is a "thing" would have to look it up in the Disneyland Flora manual- however in the early days of cell phone towers certain communities had them disguise the towers as trees and they look like this one as to "not draw attention" to it. It just turned into "what is that weird tree"? rather than "look at the ugly cell tower". I'm not sure anyone cares anymore. I am surprised that very curious guests back then were not compelled to find this area on thier own and create havoc. And I've seen those chain link fences in the early days...not too hard to get in to swipe a papeese or two. In my naughty days, my motley crew and myself would consider it a high honor to abscond a papeese and perhaps place it inside somewhere like the finale scene in Mr. Toad. Surprised I just thought of that now. Too many cameras today- a missed "nannigans" moment. Thanks for a nice start to a quiet Sunday Major.

  4. Anonymous7:01 AM

    Not much to say today other than I think Shiny Boy's dog is named Toto...or maybe Tonto...

  5. Nice Indian Village pics today. All it needs for a little added excitement is to have a giant alligator leap from the river and snatch Shiny Boy away, dragging him deep into the dark murky waters.

    Thanks, Major.

  6. Shiny Boy needs a new coat of varnish, but his greeting remains unchanged.

    He will be interviewed later as a source for the forthcoming Hardy Boys’ “Mystery of the Missing Papeese”.

    Any view of the FIV is fine by me, Major. I was cleaning my desk recently and found a B&W photo of me with the FIV in the background, only a year or two older than these views.

    Sue, I’m pretty sure that plant is a pine tree of some kind. Now I kind of want to go back and see if it still appears in later views.

    Bu, is that a fence we see in the background? There is a suspicious horizontal line that might be the DLRR grade. We have a “tree” cell tower near our home, trying to keep Sonoma Valley scenic, I guess.


  7. JB, it really IS pretty hard to find anything nice to say about these photos! I’m not sure the papooses were always there, perhaps in the earlier views they would be missing. I know what you mean about today’s photos - they are like so many Disneyland pix… perfectly fine in their way, but boring. That’s why they appear on Snoozer Sundays!

    Lou and Sue, hmmm, that looks like a really thin evergreen of some sort, I wonder if it eventually filled out to be nice and chunky?

    Bu, I think a lot of the props (including the papooses) were moved around periodically, if it wasn’t so much effort it would be sort of fun to compare photos from year to year. A friend of mine has told me about an acquaintance of his who is trying to keep track of notable trees and rocks from Disneyland, especially if they’ve been there since the days of the Dominguez ranch. It’s interesting! Wow, I wish we had a photo of one of the papooses (maybe it IS “papeese”??) inside Mr. Toad, that would be amazing.

    Stu29573, it’s OK, sometimes there’s just nothing to say! Imagine how I feel when I am posting my 15,000th photo of the Mark Twain, and I have to write something.

  8. K. Martinez, well, I like Shiny Boy, but that alligator scenario is pretty exciting. Maybe the gator could just grab a piece of venison out of Shiny Boy’s hand?

    JG, the missing papeese were taken by Old Man Terwilliger, he’s keeping them in his barn! Something about gold mines. I was mostly watching cartoons so I don’t know the details. Very cool that you found that photo of yourself, I wish I had more pictures of me at Disneyland! I can only think of one or two, and they are from the ‘80s. Remember, 1967 was just after “It’s a Small World” was built nearby, which explains the fence. It does look awfully out of place, though.

  9. I want to say that is the DLRR grade. And on the right of the first picture, is that the Pack Mules trail? (I stumbled across this call and response at DLP recently... don't know if Disneyland does the same.)

  10. The boy is shiny;
    The shadows are long.
    The focus is weak,
    But the sun is strong.
    My shutter's too early -
    My shutter's too late.
    But any picture
    Of Disneyland's great.

    "Why oh why would the papeese ever be moved ever? ... And why would papeese ever been solely be needed for rehab if they were taken away?"

    Maybe their faces fell off. Anything can happen at The Face-Falling-Offest Place on Earth!

[Calculated crystals from another source follow]
/*
[1]
VASP calculation (PBE) on a relaxed structure of NiPt4Pb.

```
NiPt4Pb
1.0
-1.472 0.552 5.117
-3.448 -3.466 2.182
1.696 -3.512 3.667
Ni Pt Pb
1 4 1
Direct
0.750 0.750 0.750
0.873 0.376 0.376
0.376 0.376 0.873
0.376 0.873 0.376
0.376 0.376 0.376
0.000 0.000 0.000
```


[2]
VASP calculation (PBE) on a relaxed structure of NiPtPb2.

```
NiPtPb2
1.0
-0.725 -2.984 -1.519
2.197 -1.596 2.087
-5.068 -1.069 4.518
Ni Pb Pt
1 2 1
Direct
0.500 0.500 0.750
0.000 0.000 0.992
0.000 0.000 0.508
0.500 0.500 0.250
```


What are the theoretical density values for these records? In order: 16.0 13.8 g/cm³.
What are the E_tot values for these records? In order: -32.8 -18.5 eV per cell.
What are the ΔH_f (0 K) values for these records? In order: 0.142 0.177 eV per atom.

~~~~~

# CoPdO2 (PBE+U, optimized geometry)
# - electronic total energy (eV per atom) = -5.276
# - total magnetic moment (μB/cell) = 3.1
data_CoPdO2
_space_group_name_H-M_alt 'R -3 m'
_space_group_IT_number 166
_space_group_name_Hall '-R 3 2"'
_cell_length_a 3.1647
_cell_length_b 3.1647
_cell_length_c 17.4433
_cell_angle_alpha 90.00
_cell_angle_beta 90.00
_cell_angle_gamma 120.00
loop_
_atom_site_label
_atom_site_fract_x
_atom_site_fract_y
_atom_site_fract_z
Co1 0.0000 0.0000 0.0000
Pd1 0.0000 0.0000 0.5000
O1 0.0000 0.0000 0.1021
*/

  11. Andrew, I think you might be right about the Pack Mules, it didn’t even occur to me. Maybe I need to spend a Christmas in Paris, and of course I would have to go to DLP! Thanks for that video link.

    Melissa, I like your lyrics, or is it a poem? I feel like you’re referring to a song and I’m not picking up on it, as usual. Do faces fall off a lot at Disneyland??

  12. No song this time, just a little doggerel. I’ve never SEEN a face fall off at Disneyland, but who knows what craziness goes on when I’m not there to stop it?

  13. Andrew, we’re glad you’re on school break! You have time to comment with fun links. Hope school is going good for you.
